Bhutan’s Energy Odyssey-From Hydropower to Diverse Energy Futures

Bhutan Today | Tshering Dorji | October 29, 2023

…Feasibility studies for four other small hydro projects consisting of 45MW Gamri-I, 26MW Druk Bindu-I and II, 20MW Begana, and 90MW Jomori are nearing completion after which construction will be immediately initiated

The annual electricity generation from the plants in operation in 2022 reached 10,752 million units (MU). Out of this, 3,295 MU was consumed domestically, while 7,819 MU was exported to India. Notably, the Mangdechhu hydropower plant alone contributed Nu. 12,542 million to the total gross revenue of Nu. 27,887 million generated in 2022. For the Mangdechhu hydropower plant, a principal loan repayment of Nu. 6,962 million and an interest payment of Nu. 5,033 million were made in 2022. In April 2023, during His Majesty The King’s visit to New Delhi, the export tariff of the Chhukha hydropower plant was revised from Nu. 2.55 to Nu. 3.00 per unit, with retrospective effect from January 1, 2021.

Here the page breaks off for records of crystals >
┌──
(1)
The following is a GGA-PBE calculation of SrAc3La3 after structural relaxation, from the Alexandria database.

Unit cell a=9.5827 b=9.5827 c=9.5827 alpha=59.47 beta=59.47 gamma=59.47
With the nearest neighbours (Å) after each atom.
Element x y z (fractional)
Sr: 0.3527 0.3527 0.3527  6 La 3.83-4.25, 6 Ac 4.06-4.09
Ac: 0.5692 0.0602 0.7319  4 La 3.61-3.95, 2 Ac 3.98
La: 0.0673 0.2779 0.8270  4 La 3.45-3.71, 3 Ac 3.61-3.74, 1 Sr 3.83
La: 0.9327 0.7221 0.1730  4 La 3.45-3.71, 3 Ac 3.61-3.74, 1 Sr 3.83
Ac: 0.4308 0.9398 0.2681  4 La 3.61-3.95, 2 Ac 3.98
Ac: 0.7319 0.5692 0.0602  4 La 3.61-3.95, 2 Ac 3.98
Sr: 0.6473 0.6473 0.6473  6 La 3.83-4.25, 6 Ac 4.06-4.09
Ac: 0.0602 0.7319 0.5692  4 La 3.61-3.95, 2 Ac 3.98
Ac: 0.9398 0.2681 0.4308  4 La 3.61-3.95, 2 Ac 3.98
La: 0.7221 0.1730 0.9327  4 La 3.45-3.71, 3 Ac 3.61-3.74, 1 Sr 3.83
Ac: 0.2681 0.4308 0.9398  4 La 3.61-3.95, 2 Ac 3.98
La: 0.1730 0.9327 0.7221  4 La 3.45-3.71, 3 Ac 3.61-3.74, 1 Sr 3.83
La: 0.8270 0.0673 0.2779  4 La 3.45-3.71, 3 Ac 3.61-3.74, 1 Sr 3.83
La: 0.2779 0.8270 0.0673  4 La 3.45-3.71, 3 Ac 3.61-3.74, 1 Sr 3.83

Energy of formation ... 0.189 eV per atom


(2)
The following is a GGA-PBE calculation of Ac3Hg12Pb5 after structural relaxation, from the Alexandria database.

Unit cell a=15.6956 b=15.6956 c=15.6956 alpha=109.47 beta=109.47 gamma=109.47
With the nearest neighbours (Å) after each atom.
Element x y z (fractional)
Hg: 0.4084 0.2766 0.3315  2 Pb 2.96-3.05, 1 Ac 3.25
Pb: 0.8750 0.2500 0.6250  4 Hg 2.96
Hg: 0.9231 0.8315 0.5549  2 Pb 2.96-3.05, 1 Ac 3.25
Pb: 0.0000 0.5000 0.0000  6 Hg 3.05
Ac: 0.6250 0.2500 0.3750  8 Hg 3.25-3.43
Hg: 0.1685 0.0769 0.9451  2 Pb 2.96-3.05, 1 Ac 3.25
Hg: 0.0769 0.1685 0.4451  2 Pb 2.96-3.05, 1 Ac 3.25
Ac: 0.6250 0.3750 0.7500  8 Hg 3.25-3.43
Pb: 0.6250 0.8750 0.2500  4 Hg 2.96
Pb: 0.5000 0.5000 0.5000  6 Hg 3.05
Hg: 0.8682 0.5916 0.9231  2 Pb 2.96-3.05, 1 Ac 3.25
Hg: 0.2766 0.8682 0.9451  2 Pb 2.96-3.05, 1 Ac 3.25
Pb: 0.3750 0.2500 0.1250  4 Hg 2.96
Hg: 0.6318 0.0549 0.2234  2 Pb 2.96-3.05, 1 Ac 3.25
Hg: 0.7766 0.3315 0.9084  2 Pb 2.96-3.05, 1 Ac 3.25
Hg: 0.6318 0.5769 0.9084  2 Pb 2.96-3.05, 1 Ac 3.25
Hg: 0.5916 0.7234 0.6685  2 Pb 2.96-3.05, 1 Ac 3.25
Hg: 0.3315 0.7766 0.4084  2 Pb 2.96-3.05, 1 Ac 3.25
Ac: 0.1250 0.8750 0.7500  8 Hg 3.25-3.43
Hg: 0.5769 0.6318 0.4084  2 Pb 2.96-3.05, 1 Ac 3.25
Hg: 0.9451 0.5769 0.1685  2 Pb 2.96-3.05, 1 Ac 3.25
Ac: 0.8750 0.1250 0.2500  8 Hg 3.25-3.43
Hg: 0.9084 0.0769 0.6318  2 Pb 2.96-3.05, 1 Ac 3.25
Pb: 0.0000 0.5000 0.5000  6 Hg 3.05
Ac: 0.7500 0.3750 0.1250  8 Hg 3.25-3.43
Pb: 0.5000 0.0000 0.0000  6 Hg 3.05
Hg: 0.3315 0.5549 0.4231  2 Pb 2.96-3.05, 1 Ac 3.25
Pb: 0.2500 0.3750 0.6250  4 Hg 2.96
Pb: 0.0000 0.0000 0.0000  6 Hg 3.05
Hg: 0.1318 0.4084 0.0769  2 Pb 2.96-3.05, 1 Ac 3.25
Hg: 0.1318 0.7234 0.5549  2 Pb 2.96-3.05, 1 Ac 3.25
Hg: 0.4231 0.0549 0.3315  2 Pb 2.96-3.05, 1 Ac 3.25
Hg: 0.3682 0.9451 0.7766  2 Pb 2.96-3.05, 1 Ac 3.25
Hg: 0.8315 0.9084 0.2766  2 Pb 2.96-3.05, 1 Ac 3.25
└──

As of July 2023, the physical progress of the Punatsangchhu I and II projects stands at 87.74 percent and 95.42 percent, respectively. Additionally, the 118MW Nikachhu hydropower project is nearing completion and is set to be commissioned by the end of this year. The Punatsangchhu II project remains on track for commissioning in December 2024.

The Basochhu project is marking a significant milestone by directly selling power through the Indian power trading market at a rate of Rs. 10 per KWh, signifying its entry into the power market.

Prime Minister Dasho Dr. Lotay Tsherig announced during the 51st Meet the Press that three phase-I small hydro projects, with a total generation capacity of 104MW, are currently under construction. Financing instruments, such as raising capital through issuing renewable energy bonds, are being explored for these projects, which are expected to be commissioned by 2025. The Prime Minister mentioned that the three projects, which include the 90 MW Jomori under Samdrup Jongkhar, 54 MW Gamri I under Trashigang, and 26 MW Druk Bindu (I & II) under Samtse, have undergone public consultations, received approval, and had the tender process initiated. Additionally, the government has engaged in discussions with multilateral banks and explored new funding mechanisms for these projects.

Furthermore, feasibility studies for four other small hydro projects, including 45MW Gamri-I, 26MW Druk Bindu-I and II, 20MW Begana, and 90MW Jomori, are nearing completion, after which construction will commence. Discussions are ongoing with Indian financial institutions as financing sources to resume the construction of the 600MW Kholongchhu hydropower project.

The “Renewable Energy for Climate Resilience Project,” a utility-scale 17.38MW Sephu solar PV project with funding support of USD 18.26 million from the Asian Development Bank, is in progress. This project is expected to generate 25MU of energy annually and is anticipated to be commissioned in December 2024, marking a significant milestone towards energy diversification and enhanced energy security.

Looking ahead, Bhutan’s energy sector is developing a comprehensive strategy for the next decade, focusing on objectives, strategies, policy reforms, investments, and programs. This holistic approach aims to achieve diversification, efficiency, reliability, and socioeconomic growth, ensuring a resilient and sustainable energy future. The strategy includes various aspects, such as hydropower and non-hydro renewables, capacity enhancement, and job creation. It represents a robust framework that will shape Bhutan’s energy trajectory and contribute to the country’s GDP.

To achieve energy security, diversification of energy sources is a key strategy in Bhutan. This involves the construction of various hydropower facilities, ranging from large-scale projects like the 1,125MW Dorjilung to smaller initiatives like the 18MW Suchhu. Feasibility studies for energy storage projects, such as the 1,800MW GongriJerichhu pumped storage projects, are also prioritized.

Integrated energy solutions are being pursued to improve energy access, including projects like the 5MW agri-solar and 1MW rural energy supply, ensuring modern energy availability even in remote areas like Lunana. Bhutan is also developing a national hydrogen roadmap and strategy to attract investments and diversify energy resources, including exploring the implementation of a 5MW hydrogen project.

This comprehensive approach will be realized through various initiatives, including strengthening transmission and distribution networks, establishing a 400kV eastwest link, reinforcing power pooling stations, implementing smart grid technology, and facilitating cross-border power trade. Reforms in policies and regulations involve the formulation of energy acts, regulations, and guidelines, as well as the development of a national energy policy aimed at enhancing energy security, affordability, and efficiency.

In the short term, strategies for energy security include importing power from the Indian power markets. Significant investments are being made in renewable energy projects. This includes the development of utility-scale solar facilities, solar rooftops in public institutions, and promotion of prosumers, wind power projects, solar thermal projects, and bioenergy projects. Providing employment opportunities within the power sector, as well as jobs generated by power generation projects under construction, is a key priority. Hydropower continues to be a key driver of Bhutan’s economic growth. Bhutan’s abundant rivers offer a significant hydropower potential, allowing the country to harness renewable energy sources. Hydropower is clean, sustainable, and helps reduce dependence on fossil fuels, contributing to environmental conservation and mitigating climate change.
